Emotional maturity is a state of mind that teaches us how to effectively deal with our emotions. It can be difficult to learn this skill, but it’s well worth the effort.
You can practice emotional maturity by observing how others handle their feelings. You can also try journal prompts or ask close friends for help.
Emotions are Yours
Emotions are a reaction to events or situations. They are triggered by feelings, which are based on our personal experiences and beliefs that are linked to a specific emotion.
We don’t always understand our emotions, but they can be useful and helpful in certain situations. Take, for example, the emotion of fear: When you feel threatened by something or someone, your body goes into stress mode (fight or flight response).
In addition, when you are scared, your heart rate can increase and your palms can sweat. This is the autonomic nervous system responding to your emotional state, according to a theory that James and Lange developed for intro psych students.
When you are able to identify and fully express your feelings, you can learn how to work with them better and more effectively. This can help you in many ways, from your relationships to your career.

You’re Not Responsible for Your Emotions
If you’re not careful, you can develop a pattern of emotional projection. This is a defense mechanism, and it can lead to unhealthy relationship patterns.
For example, if someone makes you angry, it’s natural to blame them for your feelings. But you don’t have to.
It’s a lot more helpful to understand that the other person is in pain and has a difficult time expressing their emotions.
**Materials data, as found in the file**
........
[1]
A plane-wave DFT calculation with meta-GGA SCAN was carried out for Mg2AlTl at its PBEsol-relaxed geometry.

Unit cell a=3.2560 b=5.0903 c=5.1792 alpha=90.00 beta=90.00 gamma=90.00
Sites, in units of the cell vectors:
Mg 0.0000 0.0000 0.0646
Mg 0.0000 0.5000 0.6922
Tl 0.5000 0.0000 0.5570
Al 0.5000 0.5000 0.1862

Properties
- ΔH_f (0 K) (meV/atom) = -8
- SG = No. 25

***

[2]
A plane-wave DFT calculation with meta-GGA SCAN was carried out for SrLa3Ir at its PBEsol-relaxed geometry.

Unit cell a=7.9681 b=8.0389 c=8.0381 alpha=60.00 beta=90.00 gamma=119.71
Sites, in units of the cell vectors:
Sr 0.2978 0.5000 0.7500
Sr 0.7022 0.5000 0.2500
Ir 0.5000 0.0000 0.0000
Ir 0.0000 0.0000 0.5000
La 0.2332 0.9665 0.7668
La 0.2332 0.9665 0.2668
La 0.7668 0.0335 0.7332
La 0.7668 0.0335 0.2332
La 0.7851 0.5000 0.7500
La 0.2149 0.5000 0.2500

Properties
- distance to the lowest polymorph of the same formula (eV per formula unit) = 0.00
- ΔH_f (0 K) (meV/atom) = -419
- SG = No. 74

***

[3]
A plane-wave DFT calculation with meta-GGA SCAN was carried out for Tc2AgOs at its PBEsol-relaxed geometry.

Unit cell a=2.6907 b=2.6907 c=8.0601 alpha=90.00 beta=90.00 gamma=90.00
Sites, in units of the cell vectors:
Ag 0.5000 0.5000 0.0000
Os 0.5000 0.5000 0.5000
Tc 0.0000 0.0000 0.7336
Tc 0.0000 0.0000 0.2664

Properties
- distance to the lowest polymorph of the same formula (eV per formula unit) = 0.00
- ΔH_f (0 K) (meV/atom) = 324
- SG = No. 123

***

[4]
A plane-wave DFT calculation with meta-GGA SCAN was carried out for TaSb2Ru at its PBEsol-relaxed geometry.

Unit cell a=3.1030 b=4.1491 c=5.8978 alpha=90.00 beta=95.12 gamma=90.00
Sites, in units of the cell vectors:
Ru 0.0000 0.5000 0.5000
Sb 0.8591 0.0000 0.7478
Sb 0.1409 0.0000 0.2522
Ta 0.5000 0.5000 0.0000

Properties
- E_form (uncorrected) (eV per formula unit) = 1.6
- SG = No. 10

***

[5]
A plane-wave DFT calculation with meta-GGA SCAN was carried out for NaCr2AsIr at its PBEsol-relaxed geometry.

Unit cell a=4.5282 b=4.5282 c=4.7317 alpha=90.00 beta=90.00 gamma=90.00
Sites, in units of the cell vectors:
Cr 0.0000 0.5000 0.0000
Cr 0.5000 0.0000 0.0000
As 0.0000 0.0000 0.0000
Ir 0.5000 0.5000 0.5000
Na 0.0000 0.0000 0.5000

Properties
- ΔH_f (0 K) (meV/atom) = 920
- SG = No. 123

***

[6]
A plane-wave DFT calculation with meta-GGA SCAN was carried out for KH3S2O8 at its PBEsol-relaxed geometry.

Unit cell a=7.6341 b=8.7406 c=11.3814 alpha=90.00 beta=90.00 gamma=112.57
Sites, in units of the cell vectors:
K 0.8445 0.4392 0.2550
K 0.1555 0.0608 0.7550
K 0.1555 0.5608 0.7450
K 0.8445 0.9392 0.2450
H 0.2316 0.9924 0.0924
H 0.7684 0.5076 0.5924
H 0.7684 0.0076 0.9076
H 0.2316 0.4924 0.4076
H 0.3406 0.6974 0.0659
H 0.6594 0.8026 0.5659
H 0.6594 0.3026 0.9341
H 0.3406 0.1974 0.4341
H 0.2344 0.3444 0.1204
H 0.7656 0.1556 0.6204
H 0.7656 0.6556 0.8796
H 0.2344 0.8444 0.3796
S 0.0693 0.7648 0.0015
S 0.9307 0.7352 0.5015
S 0.9307 0.2352 0.9985
S 0.0693 0.2648 0.4985
S 0.4237 0.5677 0.2093
S 0.5763 0.9323 0.7093
........
They may be feeling overwhelmed, scared, or even lonely.
Once you acknowledge and accept this, you’ll be able to move past the argument or confrontation.
You’ll also be kinder and more present with them because you won’t be as worried about how they feel.
If you’re struggling with this pattern, consider seeking a therapist to help you work through it. They can teach you how to become more emotionally responsible and to stop feeling guilty or blaming others for your emotions. They can also teach you how to set healthy boundaries so that you don’t have to take on other people’s feelings.
You’re Empathetic with Others
Empathy is the ability to put yourself in another person’s shoes. It involves feeling what they’re going through and recognizing their feelings as your own, according to Psychology Today.
(Here the piece breaks off for data records)
=====
Record 1
{"formula": "Cu4As2O9", "functional": "PBE", "state": "optimized geometry", "sg": "Pnma", "e_form_raw_ev_per_atom": -0.825, "de_polymorph_ev_per_atom": 0.000, "lattice": [[8.3245, 0.0000, 0.0000], [0.0000, 6.5210, 0.0000], [0.0000, 0.0000, 14.0493]], "species": ["Cu", "Cu", "Cu", "Cu", "Cu", "Cu", "Cu", "Cu", "Cu", "Cu", "Cu", "Cu", "Cu", "Cu", "Cu", "Cu", "As", "As", "As", "As", "As", "As", "As", "As", "O", "O", "O", "O", "O", "O", "O", "O", "O", "O", "O", "O", "O", "O", "O", "O", "O", "O", "O", "O", "O", "O", "O", "O", "O", "O", "O", "O", "O", "O", "O", "O", "O", "O", "O", "O"], "frac_coords": [[0.0724, 0.2500, 0.0895], [0.1341, 0.7500, 0.4507], [0.1480, 0.0077, 0.6554], [0.1480, 0.4923, 0.6554], [0.3520, 0.5077, 0.1554], [0.3520, 0.9923, 0.1554], [0.3659, 0.2500, 0.9507], [0.4276, 0.7500, 0.5895], [0.5724, 0.2500, 0.4105], [0.6341, 0.7500, 0.0493], [0.6480, 0.0077, 0.8446], [0.6480, 0.4923, 0.8446], [0.8520, 0.5077, 0.3446], [0.8520, 0.9923, 0.3446], [0.8659, 0.2500, 0.5493], [0.9276, 0.7500, 0.9105], [0.0022, 0.2500, 0.8444], [0.1551, 0.2500, 0.4078], [0.3449, 0.7500, 0.9078], [0.4978, 0.7500, 0.3444], [0.5022, 0.2500, 0.6556], [0.6551, 0.2500, 0.0922], [0.8449, 0.7500, 0.5922], [0.9978, 0.7500, 0.1556], [0.0806, 0.0245, 0.3571], [0.0806, 0.4755, 0.3571], [0.1012, 0.2500, 0.5275], [0.1167, 0.2500, 0.7393], [0.1192, 0.5343, 0.1468], [0.1192, 0.9657, 0.1468], [0.1315, 0.2500, 0.9402], [0.1472, 0.7500, 0.8802], [0.1897, 0.7500, 0.5929], [0.3103, 0.2500, 0.0929], [0.3528, 0.2500, 0.3802], [0.3685, 0.7500, 0.4402], [0.3808, 0.0343, 0.6468], [0.3808, 0.4657, 0.6468], [0.3833, 0.7500, 0.2393], [0.3988, 0.7500, 0.0275], [0.4194, 0.5245, 0.8571], [0.4194, 0.9755, 0.8571], [0.5806, 0.0245, 0.1429], [0.5806, 0.4755, 0.1429], [0.6012, 0.2500, 0.9725], [0.6167, 0.2500, 0.7607], [0.6192, 0.5343, 0.3532], [0.6192, 0.9657, 0.3532], [0.6315, 0.2500, 0.5598], [0.6472, 0.7500, 0.6198], [0.6897, 0.7500, 0.9071], [0.8103, 0.2500, 0.4071], [0.8528, 0.2500, 0.1198], [0.8685, 0.7500, 0.0598], [0.8808, 0.0343, 0.8532], [0.8808, 0.4657, 0.8532], [0.8833, 0.7500, 0.2607], [0.8988, 0.7500, 0.4725], [0.9194, 0.5245, 0.6429], [0.9194, 0.9755, 0.6429]]}


Record 2
{"formula": "Ac4Te2PbSe", "functional": "PBE", "state": "optimized geometry", "sg": "P2/m", "e_form_raw_ev_per_atom": -1.375, "lattice": [[8.0993, 0.0000, 0.0000], [0.0000, 4.7380, 0.0000], [-2.7660, 0.0000, 7.7496]], "species": ["Ac", "Ac", "Ac", "Ac", "Te", "Te", "Pb", "Se"], "frac_coords": [[0.2402, 0.0000, 0.2343], [0.2484, 0.5000, 0.7612], [0.7516, 0.5000, 0.2388], [0.7598, 0.0000, 0.7657], [0.0000, 0.0000, 0.5000], [0.5000, 0.5000, 0.5000], [0.5000, 0.0000, 0.0000], [0.0000, 0.5000, 0.0000]]}


Record 3
=====
It’s also called emotional understanding. It’s sometimes referred to as somatic empathy, because it may involve physical reactions like blushing or having an upset stomach in response to what someone else is going through.
Generally speaking, people who have high levels of empathy are better at communicating with others and can form strong relationships. On the other hand, those who have low levels are less likely to trust and comfort others.
This may be due to a combination of genetics and socialization, which are passed down from parents to children. How people treat others and how they feel about them is often a reflection of the beliefs and values they were taught at an early age. Cognitive biases, dehumanization, and victim-blaming are some of the reasons why people might lack empathy.
You Forgive Yourself
The most important part of emotional maturity is self-forgiveness. It’s one of the most difficult things to do, but it is also a necessary step for your mental and emotional health.
Emotionally mature people are often able to forgive themselves for mistakes, and they understand that it’s important to focus on the positive things in their lives.
They don’t spend their time ruminating over the past, as this can lead to chronic anxiety and irritability.
Materials data that have nothing to do with the text =
<<<
1.
Cd2Pt8Rh3 | PBE | optimized geometry

Energy   -5.462 eV/atom
Formation energy   0.09 eV/atom
Space-group type   C2/m, No. 12
ρ   15.81 Mg/m³

Cell: 5.228 7.230 6.917 Å, 121.51 81.93 90.00°
Atoms (fractional coordinates):
Rh 0.500 0.000 0.000
Rh 0.000 0.821 0.000
Rh 0.000 0.179 0.000
Cd 0.404 0.393 0.786
Cd 0.596 0.607 0.214
Pt 0.263 0.818 0.635
Pt 0.090 0.607 0.214
Pt 0.910 0.393 0.786
Pt 0.250 0.008 0.383
Pt 0.737 0.182 0.365
Pt 0.750 0.992 0.617
Pt 0.750 0.626 0.617
Pt 0.250 0.374 0.383

2.
Te2O3F | PBE | optimized geometry

Energy   -4.796 eV/atom
Space-group type   C2/m, No. 12
ρ   5.86 Mg/m³
Formation energy without anion corrections   -0.9579 eV per atom

Cell: 3.986 7.743 7.345 Å, 122.33 90.00 104.92°
Atoms (fractional coordinates):
O 0.908 0.816 0.582
O 0.336 0.673 0.306
O 0.092 0.184 0.418
O 0.316 0.633 0.673
O 0.664 0.327 0.694
O 0.684 0.367 0.327
F 0.084 0.169 0.935
F 0.916 0.831 0.065
Te 0.205 0.411 0.733
Te 0.534 0.068 0.241
Te 0.795 0.589 0.267
Te 0.466 0.932 0.759


Run A
Below is GaAuS2N after structural relaxation, with properties calculated at the PBE level.

Cell: 5.111 5.111 3.775 Å, 90.00 90.00 90.00°
Fractional coordinates of all 5 atoms:
S 0.500 0.000 0.000
N 0.000 0.000 0.500
S 0.000 0.500 0.000
Au 0.000 0.000 0.000
Ga 0.500 0.500 0.500

M_tot (Bohr magnetons per cell): 0.0
Fermi-level density of states (states/eV/f.u.): 4.4
Crystal system: tetragonal

=====

Run B
Below is GaAuS2N after structural relaxation, with properties calculated at the PBE level.

Cell: 4.927 4.927 3.616 Å, 90.00 90.00 90.00°
Fractional coordinates of all 5 atoms:
S 0.000 0.500 0.000
N 0.000 0.000 0.500
Ga 0.000 0.000 0.000
Au 0.500 0.500 0.500
S 0.500 0.000 0.000

M_tot (Bohr magnetons per cell): 0.0
Fermi-level density of states (states/eV/f.u.): 6.3
Crystal system: tetragonal

=====

Energies relative to the most stable structure are run A 4.5; run B 0.0, reported in kJ/mol of atoms.

=====

Run A
Below is GaAuSN2 after structural relaxation, with properties calculated at the PBE level.

Cell: 3.800 8.065 3.800 Å, 90.00 90.00 90.00°
Fractional coordinates of all 5 atoms:
N 0.500 0.000 0.000
Au 0.000 0.000 0.000
N 0.000 0.000 0.500
Ga 0.500 0.500 0.500
S 0.000 0.500 0.000

M_tot (Bohr magnetons per cell): 0.7
Fermi-level density of states (states/eV/f.u.): 3.6
Crystal system: tetragonal

=====

Run B
Below is GaAuSN2 after structural relaxation, with properties calculated at the PBE level.

Cell: 4.057 4.057 5.374 Å, 90.00 90.00 90.00°
Fractional coordinates of all 5 atoms:
Ga 0.500 0.500 0.500
N 0.000 0.500 0.000
Au 0.000 0.000 0.000
N 0.500 0.000 0.000
S 0.000 0.000 0.500

M_tot (Bohr magnetons per cell): 3.2
Fermi-level density of states (states/eV/f.u.): 2.2
Crystal system: tetragonal

=====

Energies relative to the most stable structure are run A 0.0; run B 0.9, reported in kJ/mol of atoms.

=====

Run A
Below is GaAuSe2N after structural relaxation, with properties calculated at the PBE level.
>>>
Instead, you are able to communicate your emotions to others in a healthy way. For example, you won’t sulk over an argument with a friend and judge them by their reaction.
Research has found that practicing self-forgiveness leads to a range of benefits, including lower levels of depression and anxiety, higher productivity, focus, and concentration. It’s also linked to better mental and emotional well-being, positive attitudes, and healthier relationships.